# Job
Could you transcribe every line below that contains the word "eV"?
# Input
-- begin --
# CsPH2O2

Crystalline CsPH2O2 at its relaxed geometry (PBE-GGA, Materials Project). Values from VASP.

Values from the calculation:
Corrected total energy (MP2020 scheme): -129.42 eV per cell
Energy relative to the elements: -1.561 eV per atom

The structure in Quantum ESPRESSO input format:
```
&SYSTEM
  ibrav = 0, nat = 24, ntyp = 4
/
ATOMIC_SPECIES
Cs 132.91 Cs.upf
P 30.97 P.upf
H 1.01 H.upf
O 16.00 O.upf
ATOMIC_POSITIONS angstrom
Cs 1.1428 1.7038 1.1145
Cs 3.1165 5.1115 5.2029
Cs 5.4020 1.7038 2.9739
Cs 7.3758 5.1115 7.0624
P 0.9481 1.7038 5.4844
P 3.3112 5.1115 1.3959
P 5.2073 1.7038 6.7809
P 7.5705 5.1115 2.6925
H 0.2148 5.1115 3.5262
H 2.0003 1.7038 4.5094
H 2.2590 5.1115 0.4210
H 4.0445 1.7038 7.6147
H 4.4741 5.1115 0.5622
H 6.2595 1.7038 7.7559
H 6.5183 5.1115 3.6675
H 8.3037 1.7038 4.6506
O 1.0033 0.3882 6.2417
O 1.0033 3.0194 6.2417
O 3.2560 3.7959 2.1533
O 3.2560 6.4271 2.1533
O 5.2625 0.3882 6.0236
O 5.2625 3.0194 6.0236
O 7.5153 3.7959 1.9351
O 7.5153 6.4271 1.9351
CELL_PARAMETERS angstrom
8.5185 0.0000 0.0000
0.0000 6.8153 0.0000
0.0000 0.0000 8.1769
```


No. 1
A geometry-optimized Na2SbAu structure, computed with r2SCAN.

Computed properties:
E_form	-212	kJ/mol of formula units

Cell and atoms, written as CIF:
```
data_Na2SbAu
_chemical_formula_sum 'Na8 Sb4 Au4'
_symmetry_space_group_name_H-M 'C m c m'
_symmetry_Int_Tables_number 63
_symmetry_space_group_name_Hall '-C 2c 2'
_cell_length_a 9.2541
_cell_length_b 7.5214
_cell_length_c 5.9072
_cell_angle_alpha 90.00
_cell_angle_beta 90.00
_cell_angle_gamma 90.00
loop_
_atom_site_label
_atom_site_type_symbol
_atom_site_fract_x
_atom_site_fract_y
_atom_site_fract_z
Na1 Na 0.1781 0.1651 0.2500
Sb1 Sb 0.0000 0.2036 0.7500
Au1 Au 0.0000 0.5000 0.0000
```

***

No. 2
A geometry-optimized Mn3Nb2ZnO9 structure, computed with r2SCAN.

Computed properties:
E_form	-3393	kJ/mol of formula units

Cell and atoms, written as CIF:
```
data_Mn3Nb2ZnO9
_chemical_formula_sum 'Mn6 Nb4 Zn2 O18'
_symmetry_space_group_name_H-M 'P 3 c 1'
_symmetry_Int_Tables_number 158
_symmetry_space_group_name_Hall 'P 3 -2"c'
_cell_length_a 5.2881
_cell_length_b 5.2881
_cell_length_c 14.3201
_cell_angle_alpha 90.00
_cell_angle_beta 90.00
_cell_angle_gamma 120.00
loop_
_atom_site_label
_atom_site_type_symbol
_atom_site_fract_x
_atom_site_fract_y
_atom_site_fract_z
Mn1 Mn 0.0000 0.0000 0.0000
Mn2 Mn 0.0000 0.0000 0.2165
Mn3 Mn 0.6667 0.3333 0.0339
Nb1 Nb 0.3333 0.6667 0.1598
Nb2 Nb 0.3333 0.6667 0.3773
Zn1 Zn 0.6667 0.3333 0.3167
O1 O 0.0192 0.3250 0.1032
O2 O 0.0440 0.3867 0.7688
O3 O 0.3602 0.0090 0.4336
```

***

No. 3
A geometry-optimized ErAl6Fe6 structure, computed with r2SCAN.

Computed properties:
E_form	-422	kJ/mol of formula units

Cell and atoms, written as CIF:
```
data_ErAl6Fe6
_chemical_formula_sum 'Er2 Al12 Fe12'
_symmetry_space_group_name_H-M 'I m m m'
_symmetry_Int_Tables_number 71
_symmetry_space_group_name_Hall '-I 2 2'
_cell_length_a 4.9561
_cell_length_b 8.5550
_cell_length_c 8.5911
_cell_angle_alpha 90.00
_cell_angle_beta 90.00
_cell_angle_gamma 90.00
loop_
_atom_site_label
_atom_site_type_symbol
_atom_site_fract_x
_atom_site_fract_y
_atom_site_fract_z
Er1 Er 0.0000 0.0000 0.0000
Al1 Al 0.0000 0.0000 0.3467
Al2 Al 0.0000 0.3374 0.0000
Al3 Al 0.0000 0.5000 0.3059
Fe1 Fe 0.0000 0.2609 0.5000
Fe2 Fe 0.2500 0.2500 0.2500
```

***

| no. | DFT total energy (eV per atom) |
| --- | --- |
| 1 | -21.4042 |
| 2 | -12.7563 |
| 3 | -12.7059 |


VASP calculation (PBE) on a relaxed LiBH2C4O9 crystal.

Values from the calculation:
symmetry = Pbca
crystal system = orthorhombic
formation enthalpy at 0 K = -1.73 eV/atom

Cell lengths 5.656, 16.078, 16.267 Å; angles 90.00, 90.00, 90.00 degrees
Element x y z (fractional)
Li: 0.623 0.248 0.154
Li: 0.377 0.252 0.654
Li: 0.877 0.748 0.846
Li: 0.123 0.752 0.346
Li: 0.377 0.752 0.846
Li: 0.623 0.748 0.346
Li: 0.123 0.252 0.154
Li: 0.877 0.248 0.654
B: 0.719 0.443 0.910
B: 0.281 0.057 0.410
B: 0.781 0.943 0.090
B: 0.219 0.557 0.590
B: 0.281 0.557 0.090
-- stop --
# Response
Corrected total energy (MP2020 scheme): -129.42 eV per cell
Energy relative to the elements: -1.561 eV per atom
| no. | DFT total energy (eV per atom) |
formation enthalpy at 0 K = -1.73 eV/atom